Darius Gaiden is a horizontal shmup which has a story involving blowing
stuff up. The attract mode has some Engrish which attempts to explain the
Darius Gaiden is the first game in the series that really manages to go
beyond being a bland horizontal shooter. None of the earlier games were
outright bad, but often they had bland levels and the only really good
parts were the music and boss fights. That changed with Gaiden, which has
very good level design, intense gameplay, fantastic boss fights and the
strangest music Zuntata could come up with.
Darius Gaiden is set immediately after the first Darius. With that in
mind, let the screenshots tell the story.
Darius Gaiden puts tremendous firepower at your fingertips as you power up.
Button A fires both your gun and your bombs, while B uses the new Black
Hole Bomb. Collecting red shields powers up your gun, green shields your
bomb, and blue shields give you the classic Darius force field. Yellow
shields erase all enemies, and grey ones give a score bonus. Purple
shields give another Black Hole Bomb, and finally a Silver Hawk in a bubble
awards an extend. At full power, you will have homing missiles, auto-
targeting options, and red crescents that pierce enemies and walls all
firing at once. The maximum number of projectiles you can have on screen
is high enough that around half of the screen will have weaponry on it.
Scoring is relatively simple. Shooting down a whole group of enemies gives
a fixed score bonus. The grey shields have a fluctuating point value,
based on where they are in their little orbit when you collect them. Upon
completing the game, any Silver Hawks or bombs left give major bonus
points. Beyond that, just shoot stuff.
Graphically the game is immense. Darius Gaiden was originally made for the
same F3 system that Ray Force runs on. Backgrounds fade in and out, and
the landscape is rendered to give a sense of distance. Enemies will hide
in the background, and shoot lasers out at you. The rotating tube in Stage
1 of Gekirindan originally showed up in Darius Gaiden. More impressively,
the number of sprites on screen at any time can get very massive. Many
bosses are made of many sprites, and can fires bullets all over the screen.
The game doesn't lag at all, even with so much intensity.
Sonically the game is a bit of an odd one. Explosions and sound effects
don't often have a lot of punch. The ones that do are usually enemy
attacks, which helps avoid them a little. The music is very strange.
Dance beats are mixed with warbling melodies and sampled vocal tracks. I
happen to like a lot of it. It isn't really all that good for listening to
by itself, but it fits the game quite well.
Darius Gaiden does have a rank system. It is fairly easy to control. Each
stage has a pre-determined rank. Powering up your gun to the next form on
any stage will increase rank to that stage's pre-determined value. To keep
rank relatively low, simply stop powering up once you reach wide green or
red crescents. Rank will be higher than the beginning, but not so high as
to make later sections nightmarish.
Like other Darius games, Gaiden allows you to select the next stage. Each
tier is given a theme. I'll explain the theme, and show you what one
playthrough looks like.
Zone A is the Vadis Base. This level is pretty easy, and should let you
get accustomed to the game. No really impressive graphical tricks,
although instead of simply entering a new section the background morphs
into it. The midboss shoots a flamethrower and is pretty easy to capture.
Golden Ogre is an ogrefish and Taito seems to be quite proud of it. You
can see him in the background while the WARNING screen flashes, then he
smashes a building when the fight actually begins. The F3 system wasn't
made to draw polygons, but it could draw and manipulate a ton of sprites
and Golden Ogre is made up of many sprites animated in unison to look like
a 3D boss. He doesn't have much in the way of attacks. He shoots scales
at you (shoot through them), he shoots a big beam at you (move up a
little), and he has a bullet spread that is easy to dodge. Pathetic.
The second tier is the Vadis Wilderness. Zone B is a fight over the
unpopulated lands of the planet, including plains, sea and forest. The
ground is rendered to give a sense of depth. The midboss is again easy to
capture, stay on top of him and he'll go down quickly. Some enemies zoom
in from the background, a nice touch. If you collect every powerup up to
the boss without dying, he'll go down much easier than if you died even
once and lost your weapon level. Of interesting note, the music track from
Zone A continues right up until you meet the boss.
Ancient Dozer the horseshoe crab drops down and begins plowing through the
forest. I don't think I've met a more intense logger. On his back are a
couple turrets and a hatch that fires missiles. He can dive into the
background and fire blue balls at you, and then potentially run into you on
the way back. When he takes enough damage, he'll go airborne and start
hitting you with lasers and more blue balls. You can shoot off his little
legs in this form.
Tier 3 is the Vadis System Open Space. These levels tend to be pretty
heavy in the debris department, with scraps of spaceships or asteroids
flying about. Zone D has asteroids, and part way through you'll enter a
space cave. Darius Gaiden does not award extends for score, but any stage
in Tier 3 will have an extend that you can find by shooting the scenery.
Folding Fan the fanfish looks relatively tame when he shows up. For a HUGE
BATTLESHIP, he's only about the size of some of the midbosses you've taken
down by now. He can throw out orbs that shoot at you when destroyed. He
[Someone pasted data records at this point]
+++
Entry 1:
This record from OMol25 describes 2 unconnected molecules or ions with the total composition C49H57N4 in a non-equilibrium geometry. The level of theory is ωB97M-V with the def2-TZVPD basis set.

```
110
Properties=species:S:1:pos:R:3:lowdin_charge:R:1
C -2.97 -0.83 -3.07 0.01
C -6.97 -2.32 0.27 -0.20
H 0.75 3.05 0.79 0.07
C 3.75 2.32 1.00 -0.07
H -4.45 1.74 1.55 0.12
H 3.07 -5.34 1.09 0.11
H 3.24 -1.83 2.33 0.12
H -9.19 -3.38 2.32 0.08
C -3.16 3.86 -1.44 0.01
H -3.53 5.53 -0.17 0.11
C -3.75 1.70 -0.49 -0.12
N -8.08 -3.17 0.55 -0.23
C 5.14 3.69 2.41 -0.02
H -2.17 2.80 -4.23 0.12
C -4.73 -2.02 -0.59 0.00
H 2.83 5.05 -1.85 0.08
H -2.81 4.46 -2.27 0.12
H 4.13 -1.12 -2.99 0.08
H 2.40 -4.11 -2.91 0.11
C -4.12 2.33 0.71 -0.01
C -5.78 -2.83 -0.28 0.02
C -3.19 0.25 -2.20 -0.09
C 1.18 -0.21 0.67 -0.26
C 0.71 -1.70 -3.16 -0.06
H 0.83 -2.31 2.56 0.05
H -4.29 4.18 1.73 0.11
H 6.17 1.71 4.15 0.08
C 4.72 4.35 0.16 -0.02
H 5.36 0.21 4.58 0.08
H 5.96 0.45 2.94 0.09
N 2.40 -0.85 0.32 -0.02
H 1.81 3.91 -2.70 0.08
C 2.35 -2.54 -1.46 -0.13
H 0.73 -2.63 -3.72 0.08
H -0.95 -0.19 0.92 0.01
C 4.36 2.56 2.24 -0.13
C 3.28 2.98 -1.39 -0.38
H 5.01 1.98 -2.24 0.09
H 1.99 -0.51 -1.91 0.12
H 1.05 2.56 2.45 0.08
C 2.49 -3.86 -1.86 -0.03
C -3.84 0.32 -0.90 0.05
C 5.49 0.95 3.79 -0.05
C 2.05 -1.46 -2.47 -0.37
C -5.97 -0.12 0.25 0.00
H -0.23 -1.77 0.37 0.04
H 3.88 2.58 -3.45 0.08
H -7.44 -3.59 2.51 0.09
H -3.83 -2.44 -1.01 0.11
C 1.55 1.09 1.01 -0.17
C 2.51 -2.23 -0.11 -0.08
N 3.44 -0.02 0.40 0.19
C 2.31 4.10 -1.75 -0.05
C 3.97 -3.74 2.99 -0.07
C -8.29 -3.78 1.86 -0.06
H -9.42 -4.31 -0.58 0.08
H -10.13 -2.87 0.16 0.08
C 5.32 4.58 1.37 -0.04
H -9.08 -2.72 -1.26 0.09
H 3.30 1.53 5.37 0.08
H 2.71 2.04 -1.30 0.12
H -6.07 0.93 0.42 0.11
H 0.47 -0.90 -3.86 0.07
H 4.93 3.70 -2.59 0.08
H -3.20 -1.83 -2.78 0.10
C 3.93 3.23 -0.05 -0.13
C 2.91 -2.88 2.29 -0.37
H 3.65 -4.78 3.05 0.07
C 3.47 2.24 4.56 -0.05
C 2.75 -4.86 -0.95 -0.05
C -2.16 0.72 -4.74 -0.04
H -8.40 -4.86 1.74 0.08
H 1.54 4.22 -0.99 0.06
C 4.16 1.58 3.37 -0.38
C -0.08 -0.76 0.66 0.02
C 1.56 -2.99 3.00 -0.05
H 1.17 -4.00 2.93 0.09
H 3.50 0.78 2.99 0.12
H 4.87 5.05 -0.64 0.12
C -9.25 -3.27 -0.34 -0.06
H -2.27 -1.40 -5.00 0.11
H -1.79 0.89 -5.74 0.12
C -7.03 -0.94 0.55 0.02
H 4.15 -3.40 4.01 0.08
H 4.09 3.04 4.97 0.08
C -3.56 4.46 -0.26 -0.04
H -7.94 -0.55 0.96 0.13
H -0.10 -1.76 -2.43 0.07
H 5.61 3.88 3.35 0.12
H 2.52 2.67 4.28 0.07
C -2.45 -0.58 -4.32 -0.07
C 0.71 2.21 1.48 0.02
C -2.87 1.56 -2.62 -0.09
H 4.91 -3.70 2.45 0.09
C -3.23 2.47 -1.55 -0.09
H 3.30 -2.25 -4.05 0.08
C 2.88 -4.55 0.39 -0.02
C -4.80 -0.62 -0.36 -0.12
C 4.33 2.80 -2.48 -0.05
H -5.73 -3.89 -0.48 0.12
C 2.78 -3.24 0.83 -0.12
C 3.18 -1.33 -3.49 -0.05
H 1.65 -2.74 4.06 0.08
C -4.01 3.69 0.81 -0.05
N 2.95 1.13 0.81 -0.04
H -0.33 1.91 1.58 0.08
H 2.86 -5.88 -1.28 0.11
H 2.99 -0.53 -4.20 0.08
C -2.37 1.79 -3.90 0.01
H 5.93 5.46 1.52 0.11
```

Net charge ... +1
Lowest unoccupied orbital energy ... -5.44 eV
HOMO energy ... -8.17 eV
Spin multiplicity ... 1
+++
[Here the text continues]
has a bullet spread that if you sit just in front of it in the right spot,
you can dodge these. His signature attack is his lightning spine attack.
When he spreads his fins, each spine will fire an arc. He is very mobile
and can run into you as well.
The fourth tier is the Dimensional Corridor. Each zone starts the same, in
open space being surrounded by enemies. Control is taken away from you,
and just as the enemies close in you warp into the real level. Regardless
of which zone you choose, the levels tend towards the organic. Zone G has
sections with fallen pink gooey things. The level design looks a bit like
Salamander 2, and it even has waving tentacles that retreat as you shoot
them like in Konami shmups.
Prickly Angler starts out as just a little minnow like the ones you fought
throughout the level. It changes into a small anglerfish and starts
pelting you with some lasers. Nothing too awful. When it takes enough
damage, it turns into an adult. It now has blue lasers that expand and
contract in a circular pattern and the straight lasers are more menacing.
It also has many animated parts, such as the fins.
The fifth tier is the Darius system. More space levels with some debris.
For Zone K, the beginning of the stage takes place over a space station,
with enemies hiding in little nooks and shooting at you. A good chunk of
this stage takes place inside of a space fortress. At the beginning and
end, you have to destroy a wall firing bullets at you, which is actually
really easy.
Fatty Glutton guards Zone K. Being a classic Darius boss, he gets little
orbs that precede him in battle for points. He has some classic attacks,
like the anchors, but also gets some new bullet spreads and lasers to bring
him up to the level of other Gaiden bosses. Like the original Fatty
Glutton, even with just a few attacks he manages to keep you moving at all
Tier six is Planet Darius, Part 1. Zone P takes place mostly either above
or below the sea. The effect of diving into the water in this game is very
cool, with water splashing everywhere. The midboss here has a gatling gun
and a lot of health, but if you capture him can be good help.
The crusty hammer is a mantis shrimp that loves to bounce around. While
all of his back scales indicate damage, you have to aim for the face to
kill him. He has some very danmaku-esque attacks, like when he rotates all
over spraying the place with skinny straight lasers. Even when he isn't
rotating, he can fire straight lasers at you. He will also try to slap you
down with his arm. When he does die, he spins around for a moment before
The seventh tier is the second Darius stage, and the last stage of the
game. Zone Z has a city for a background, though most of the level is
spent fighting through tight corridors. It's not too bad.
Great Thing is another traditional Darius boss, and one of the hardest in
every game. This guy is a flying sperm whale fitted with enough weaponry
to take on entire fleets without being underarmed. He has a ton of attacks
and never stops shooting at least one. He can fire a yellow homing laser
salvo that moves very fast. He has a twisty laser that isn't so bad. He
also has nose drills. His worst attack is his death ray. A cannon on his
back activates and a laser sweeps the stage, trying to follow you. If you
move too fast or don't have enough room when it starts, it will get you
every time. Great Thing can also add some big bullet spreads which are a
little hard to dodge.
Beating Great Thing gives one of the games better endings. Watch the
credits as Golden Ogre swims around.
Darius Gaiden has been ported to numerous systems over the years, usually
in compilation packs. The best is the Saturn version. It is nearly arcade-
perfect. It also allows autofire by special code. The firing rate in the
normal game is high enough that you can't really press the button faster,
but too slow to get through enemies quickly. The Saturn version bumps it
up to a full 30/second. It's possible to kill Golden Ogre before he fires
his beam at this speed, and the first four stages all become really easy
with this amount of firepower. Of course, various emulators like Raine and
most versions of MAME besides the basic one allow the same autofire rate.
Darius Gaiden still stands as my favorite side-scrolling shmup. Check it